A post written by Moi  on June 18, 2014


The modern penalty for attacking neighbours,
you live by the sword, you die by the sabres,
the death of more than a thousand cuts:
sanctions that eviscerated Iraq’s guts.
Killed countless kids, untold slaughter
by sanctioning chlorine that purified the water.
Sanctions killed Iraq’s military as well
(tanks lacked tracks, some even a shell).

Only when Iraq was so very weak
did the US attack and havoc wreak.
They killed the tanks for the media you see,
the men within them they killed for free.
Bremer’s diktats then sowed the seed,
marginalised Sunnis without any heed.
Sunni disquiet, the Fallujah bloodbath
mere mileage markers on histories path.

Divide and conquer, the USual thought,
pressure relief through sectarian sport.
A fundamental divide thoughtlessly ignited,
occupying generals no doubt delighted.
Muqtada al-Sadr’s army defeated
Sunnis who’ve since been badly mistreated.
The Saddam / Maliki democratic illusion
behind a lot of the current confusion.

Fundamental fratricide made to order
and refugees took it across the border.
Syria absorbed over a million Sunnis
at its own cost, no outside monies.
The refugees bit the hand that fed them
rebelling to cause the current problem.
The “arab spring” Nato supported in Libya
easily transported by sea to Syria.


Some pundits claim the US is at fault
for this latest crisis – this ISIS assault.
Sunnis are now back with a vengeance,
Maliki part blamed for ISIS transcendence.
“if you break it, you own it” quipped Colin Powell
just before Saddam threw in the towel.
“Fix it or pay” the world now demands
as usual the US only issues commands.

## Inserted here: records of crystals
1.
Below is a relaxed LaTl2ReO6 crystal, with properties calculated at the GGA-PBE level.

The structure in POSCAR format:
```
LaTl2ReO6
1.0
-4.3551 -4.3177 -0.3001
1.2600 -0.8301 -6.3420
3.1971 -3.5340 4.4483
La Tl Re O
1 2 1 6
direct
0.5000 0.0000 0.0000 La
0.0275 0.3333 0.6667 Tl
0.9725 0.6667 0.3333 Tl
0.0000 0.0000 0.0000 Re
0.8099 0.1343 0.2686 O
0.8099 0.1343 0.8657 O
0.8099 0.7314 0.8657 O
0.1900 0.8657 0.1343 O
0.1900 0.2686 0.1343 O
0.1900 0.8657 0.7314 O
```

Results
Symmetry = P-3m1
Formation energy (no corrections) = -1713 meV/atom

2.
Below is a relaxed Rb2Cd7Ga crystal, with properties calculated at the GGA-PBE level.

The structure in POSCAR format:
```
Rb2Cd7Ga
1.0
-1.4908 2.7749 -3.6854
-3.9975 1.1561 2.4875
6.0816 10.0461 5.1042
Rb Cd Ga
2 7 1
direct
0.5000 0.0000 0.7559 Rb
0.0000 0.5000 0.2441 Rb
0.0000 0.5000 0.8707 Cd
0.5000 0.0000 0.3606 Cd
0.5000 0.0000 0.1293 Cd
0.0000 0.5000 0.6394 Cd
0.0000 0.0000 0.5000 Cd
0.0000 0.0000 0.0000 Cd
0.5000 0.5000 0.5000 Cd
0.5000 0.5000 0.0000 Ga
```

Results
Energy of formation from the pure elements = -0.03 eV/atom
Symmetry = P-4m2

3.
Below is a relaxed Sc2InCuH crystal, with properties calculated at the GGA-PBE level.

The structure in POSCAR format:
```
Sc2InCuH
1.0
-1.3359 4.1761 1.2783
-4.1738 -1.6143 0.9120
1.0892 -0.7636 3.6330
Sc H Cu In
## End of the records of crystals

The fault really lies with those who gave arms
to Syrian rebels without any qualms,
weapons now flowing over the borders
into Iraq in the hands of marauders.
Iraqi Sunnis are providing support,
adding to weapons the jihadis brought.
Depending: it’s either justice in action
or widespread terrorism with local traction.

So we are left with the latest emergency
ISIS are terrorists not an insurgency,
funded to wreck the Syrian nation
they’ve managed to damage US reputation.
Now pouring out of the Sunni enclaves
blowback coming in hurricane waves.
Payback in spades used to dig graves
not of the chiefs, only the braves.

An exigency made in the USA,
Bremer’s old acts reversing today?
Saudi support for Syrian terrorism
opposed in Iraq with Shia heroism?
Blame and counter-claim to distraction,
or just a picture of Ouroboros in action
– take a snake by the tail, a US farce
when it turns and bites them on the arse.


ISIS intend to create a caliphate.
State sanctioned stonings there await,
second class females hand and foot,
illiterate, who’ll stay where they’re put.
Amputations, flogging in stadiums of sport
and religious courts for crimes of thought.

The funding for all of this utter madness,
the blood and oil and utter badness,
comes from outright monarchies
with intelligence arms that rival the nazis.
Know to the shekel who’s paying what
to who, why and precisely the spot.

The General inflammation of Sunnis / ISIS
in medical terms would be Saudiitis.
Iran-like sanctions should be prescribed
for preventing eruptions as above described.
That must happen to stop a caliphate,
it’s probably already way too late.

The US fawns on its oily soulmate
but draws the line at creating a caliphate.
Private Saudi funding still takes place,
the caliphate is coming at headlong pace.
Costing just a few lousy billion
they’re creating conditions for making a zillion.

~~~
Computed, not measured: crystalline BaSrFe2I8 at its relaxed geometry at the PBE level of DFT.

Cell: 7.4411 7.4411 10.9110 Å, 90.00 90.00 120.00°
Closest atoms and distances in Å follow each position.
Space group P-3 (No. 147)
Symmetry-distinct sites (fractional):
Ba  0.0000  0.0000  0.0000 x1  12 I 3.99-4.30
Sr  0.0000  0.0000  0.5000 x1  6 I 3.29
Fe  0.3333  0.6667  0.7666 x2  4 I 2.58-2.62
I  0.0023  0.6802  0.2931 x6  1 Fe 2.62
I  0.3333  0.6667  0.0033 x2  1 Fe 2.58

Calculated values
Spin magnetization = 8.0 μB per formula unit
E_form (uncorrected) = -0.82 eV/atom
Density of states at the Fermi level = 13.59 states/eV/cell

=====

Entry 1:
Material: AlTe2
Method: DFT, meta-GGA SCAN
State: single point on PBEsol structure

Geometry as extended XYZ:
```
3
Lattice="-1.781 1.781 5.690 1.781 -1.781 5.690 1.781 1.781 -5.690" Properties=species:S:1:pos:R:3 pbc="T T T"
Al 0.000 0.000 0.000
Te 0.000 0.000 4.042
Te 0.000 0.000 7.339
```

## Properties
Formation energy from raw total energies   0.1341 eV/atom


Entry 2:
Material: Ti3AlTe
Method: DFT, meta-GGA SCAN
State: single point on PBEsol structure

Geometry as extended XYZ:
```
5
Lattice="4.674 0.000 0.000 0.000 4.674 0.000 0.000 0.000 4.674" Properties=species:S:1:pos:R:3 pbc="T T T"
Ti 0.000 0.000 2.337
Ti 0.000 2.337 0.000
Ti 2.337 0.000 0.000
Al 0.000 0.000 0.000
Te 2.337 2.337 2.337
```

## Properties
Formation energy from raw total energies   0.5409 eV/atom


Entry 3:
Material: AlTl2Te
Method: DFT, meta-GGA SCAN
State: single point on PBEsol structure

Geometry as extended XYZ:
```
4
Lattice="-2.242 2.242 5.359 2.242 -2.242 5.359 2.242 2.242 -5.359" Properties=species:S:1:pos:R:3 pbc="T T T"
Al 0.000 0.000 0.000
Tl 2.242 0.000 2.679
Tl 0.000 2.242 2.679
Te 0.000 0.000 5.359
```

## Properties
Formation energy from raw total energies   0.1013 eV/atom
Energy above the most stable polymorph in this dataset   0 meV/atom


Entry 4:
Material: AlTl2Te
Method: DFT, meta-GGA SCAN
State: single point on PBEsol structure

Geometry as extended XYZ:
```
4
Lattice="4.614 0.000 0.000 0.000 4.614 0.000 0.000 0.000 5.113" Properties=species:S:1:pos:R:3 pbc="T T T"
Al 0.000 0.000 0.000
Tl 0.000 2.307 2.556
Tl 2.307 0.000 2.556
Te 2.307 2.307 0.000
```

## Properties
Formation energy from raw total energies   0.1123 eV/atom
Energy above the most stable polymorph in this dataset   11 meV/atom


Entry 5:
Material: AlTl2Te
Method: DFT, meta-GGA SCAN
State: single point on PBEsol structure

Geometry as extended XYZ:
```
4
Lattice="-2.311 2.311 5.105 2.311 -2.311 5.105 2.311 2.311 -5.105" Properties=species:S:1:pos:R:3 pbc="T T T"
Al 0.000 0.000 0.000
Tl 2.311 0.000 2.552
Tl 0.000 0.000 5.105
Te 0.000 2.311 2.552
```

## Properties
Formation energy from raw total energies   0.1341 eV/atom
Energy above the most stable polymorph in this dataset   33 meV/atom


Entry 6:
Material: Al2TeW
Method: DFT, meta-GGA SCAN
State: single point on PBEsol structure

Geometry as extended XYZ:
```
4
~~~
_Back to the piece_

Juan Cole’s excellent article – Who are Iraq’s Sunni Arabs and What did we Do to them?.